Material.
+++
CsMg6SiO8: computed XRD peak list (Cu Kα (λ = 1.5418 Å)), based on the GGA-PBE geometry in Alexandria.
Intensities are scaled so that the largest is 100.

Most intense lines, 10 to 90 degrees two-theta, low angle first:
2θ 11.96, 7.402 Å, rel. 53, (0 0 1); 2θ 27.34, 3.262 Å, rel. 68, (0 1 -2); 2θ 27.51, 3.242 Å, rel. 100, (0 1 2); 2θ 27.66, 3.225 Å, rel. 67, (1 1 -1); 2θ 34.84, 2.575 Å, rel. 47, (1 1 -2); 2θ 42.95, 2.106 Å, rel. 78, (2 0 0)

Structural model:
```
CsMg6SiO8
1.0
4.2119 0.0000 0.0000
-0.0556 6.8205 0.0000
-0.0030 -0.0496 7.4022
Cs Mg Si O
1 6 1 8
Cartesian
0.0000 0.0000 0.0000 Cs
2.0094 5.0440 2.0577 Mg
2.0092 5.0693 5.2795 Mg
2.0417 1.6988 3.6442 Mg
4.1067 6.3648 3.6625 Mg
4.1477 3.0481 1.9702 Mg
4.1486 3.0656 5.3021 Mg
2.1827 3.0913 7.3335 Si
2.0154 2.9401 1.8757 O
1.9984 4.7523 7.3666 O
2.0155 2.9639 5.3908 O
2.0010 6.4632 3.6545 O
3.8260 2.6888 7.3281 O
4.1146 5.0257 2.1978 O
4.1145 5.0613 5.1551 O
4.1457 1.7583 3.6411 O
```

=====

SiPOsRuC: computed XRD peak list (Cu Kα (λ = 1.5418 Å)), based on the GGA-PBE geometry in Alexandria.
Intensities are scaled so that the largest is 100.

Most intense lines, 10 to 90 degrees two-theta, low angle first:
2θ 16.30, 5.439 Å, rel. 79, (0 0 1); 2θ 23.72, 3.751 Å, rel. 74, (2 0 0); 2θ 30.80, 2.903 Å, rel. 71, (2 0 -2); 2θ 34.26, 2.617 Å, rel. 100, (1 1 -1); 2θ 39.25, 2.295 Å, rel. 65, (1 1 1); 2θ 44.80, 2.023 Å, rel. 93, (3 1 -1)

Structural model:
```
SiPOsRuC
1.0
8.3848 0.0000 0.0000
0.0000 2.9323 0.0000
-2.7167 0.0000 5.4390
Si P Os Ru C
2 2 2 2 2
Cartesian
0.0000 0.0000 0.0000 Si
4.1924 1.4661 0.0000 Si
2.2500 0.0000 2.4425 P
6.4424 1.4661 2.4425 P
-0.1023 0.0000 2.7193 Os
4.0901 1.4661 2.7193 Os
1.7444 1.4661 0.6785 Ru
5.9368 0.0000 0.6785 Ru
0.1012 1.4661 4.2212 C
4.2936 0.0000 4.2212 C
```

=====

Ac2PmTeO8: computed XRD peak list (Cu Kα (λ = 1.5418 Å)), based on the GGA-PBE geometry in Alexandria.
Intensities are scaled so that the largest is 100.

Most intense lines, 10 to 90 degrees two-theta, low angle first:
2θ 24.35, 3.655 Å, rel. 74, (1 0 -1); 2θ 26.34, 3.384 Å, rel. 59, (1 0 1); 2θ 28.82, 3.098 Å, rel. 100, (0 2 1); 2θ 31.35, 2.854 Å, rel. 56, (1 2 0); 2θ 43.92, 2.062 Å, rel. 41, (1 2 -2); 2θ 49.18, 1.853 Å, rel. 36, (0 4 0)

Structural model:
```
Ac2PmTeO8
1.0
4.4925 0.0000 0.0000
0.0000 7.4051 0.0000
-0.4489 0.0000 5.6579
Ac Pm Te O
2 1 1 8
Cartesian
0.0000 1.8091 0.0000 Ac
0.0000 5.5961 0.0000 Ac
2.0218 3.7026 2.8289 Pm
2.0218 0.0000 2.8289 Te
0.1823 3.7026 1.4268 O
0.3039 0.0000 1.9164 O
1.6289 1.4823 4.1013 O
1.6289 5.9228 4.1013 O
2.4147 1.4823 1.5566 O
2.4147 5.9228 1.5566 O
3.7397 0.0000 3.7415 O
3.8613 3.7026 4.2311 O
```

=====

Diffraction record for SrCuTe2O7. The powder XRD pattern is calculated, not measured: it uses a DFT-relaxed cell (GGA-PBE, Alexandria) and Cu Kα (weighted mean of Kα1 and Kα2).
Intensities are scaled so that the largest is 100.

Structure:
a = 7.234 Å, b = 15.509 Å, c = 5.506 Å
α = 90.00°, β = 90.00°, γ = 90.00°
Space group Pbcm (No. 57)
Unique sites:
1 Sr 0.225 0.041 0.250 [4 per cell]
2 Cu 0.266 0.611 0.250 [4 per cell]
3 Te 0.012 0.671 0.750 [4 per cell]
4 Te 0.483 0.174 0.750 [4 per cell]
5 O 0.080 0.589 0.000 [8 per cell]
6 O 0.101 0.250 0.000 [4 per cell]
7 O 0.228 0.111 0.750 [4 per cell]
8 O 0.248 0.729 0.750 [4 per cell]
9 O 0.465 0.598 0.010 [8 per cell]

Largest 10 diffraction maxima, sorted by position, 10° ≤ 2θ ≤ 90°:
| 2θ/deg | I_rel | h k l |
| --- | --- | --- |
| 19.78 | 26 | 0 2 1 |
| 26.67 | 20 | 1 3 1 |
| 27.21 | 34 | 2 2 0 |
| 28.15 | 93 | 0 4 1 |
| 31.77 | 100 | 2 2 1 |
| 32.53 | 36 | 0 0 2 |
| 42.90 | 26 | 2 2 2 |
| 54.94 | 27 | 2 6 2 |
| 57.54 | 22 | 2 2 3 |
| 58.78 | 19 | 4 4 1 |

---

Diffraction record for Sr3TiCu2O6. The powder XRD pattern is calculated, not measured: it uses a DFT-relaxed cell (GGA-PBE, Alexandria) and Cu Kα (weighted mean of Kα1 and Kα2).
Intensities are scaled so that the largest is 100.

Structure:
a = 5.7374 Å, b = 5.7374 Å, c = 6.3374 Å
α = 90.00°, β = 90.00°, γ = 120.00°
+++

Brief.
Now say how many lines of the lines above hold the word "two-theta", as a bare number.

Completed.
3